**Activity**
Find "(0.973, 0.250," and "eV/atom: -6.859" in the notes further down, and retype these two lines and those between.

**Given**
-- begin --
Entry 1:
Material: KV2SbO8
Method: DFT, GGA+U
State: relaxed

Lattice parameters (Å, degrees): 14.890 5.643 8.657 90.00 90.00 90.00
Atoms (fractional coordinates):
K (0.119, 0.250, 0.050)
K (0.381, 0.750, 0.550)
K (0.619, 0.250, 0.450)
K (0.881, 0.750, 0.950)
V (0.027, 0.750, 0.293)
V (0.216, 0.250, 0.491)
V (0.284, 0.750, 0.991)
V (0.473, 0.250, 0.793)
V (0.527, 0.750, 0.207)
V (0.716, 0.250, 0.009)
V (0.784, 0.750, 0.509)
V (0.973, 0.250, 0.707)
Sb (0.118, 0.750, 0.687)
Sb (0.382, 0.250, 0.187)
Sb (0.618, 0.750, 0.813)
Sb (0.882, 0.250, 0.313)
O (0.036, 0.503, 0.775)
O (0.036, 0.997, 0.775)
O (0.045, 0.750, 0.493)
O (0.122, 0.750, 0.198)
O (0.135, 0.250, 0.365)
O (0.179, 0.750, 0.892)
O (0.205, 0.510, 0.609)
O (0.205, 0.990, 0.609)
O (0.295, 0.010, 0.109)
O (0.295, 0.490, 0.109)
O (0.321, 0.250, 0.392)
O (0.365, 0.750, 0.865)
O (0.378, 0.250, 0.698)
O (0.455, 0.250, 0.993)
O (0.464, 0.003, 0.275)
O (0.464, 0.497, 0.275)
O (0.536, 0.503, 0.725)
O (0.536, 0.997, 0.725)
O (0.545, 0.750, 0.007)
O (0.622, 0.750, 0.302)
O (0.635, 0.250, 0.135)
O (0.679, 0.750, 0.608)
O (0.705, 0.510, 0.891)
O (0.705, 0.990, 0.891)
O (0.795, 0.010, 0.391)
O (0.795, 0.490, 0.391)
O (0.821, 0.250, 0.108)
O (0.865, 0.750, 0.635)
O (0.878, 0.250, 0.802)
O (0.955, 0.250, 0.507)
O (0.964, 0.003, 0.225)
O (0.964, 0.497, 0.225)

Summary:
Uncorrected energy in eV/atom: -6.748
Theoretical density in g/cm³: 3.568
Total magnetic moment in μB/atom: 0.001
Formation energy from the elements in eV per atom: -2.24



Entry 2:
Material: KSmV4O12
Method: DFT, GGA+U
State: relaxed

Lattice parameters (Å, degrees): 7.230 6.083 6.083 72.65 90.00 90.00
Atoms (fractional coordinates):
K (0.000, 0.000, 0.000)
Sm (0.500, 0.456, 0.456)
V (0.253, 0.492, 0.979)
V (0.253, 0.979, 0.492)
V (0.747, 0.492, 0.979)
V (0.747, 0.979, 0.492)
O (0.000, 0.023, 0.488)
O (0.000, 0.488, 0.023)
O (0.236, 0.787, 0.787)
O (0.267, 0.290, 0.290)
O (0.284, 0.335, 0.797)
O (0.284, 0.797, 0.335)
O (0.500, 0.045, 0.563)
O (0.500, 0.563, 0.045)
O (0.716, 0.335, 0.797)
O (0.716, 0.797, 0.335)
O (0.733, 0.290, 0.290)
O (0.764, 0.787, 0.787)

Summary:
Uncorrected energy in eV/atom: -7.345
Theoretical density in g/cm³: 3.805
Total magnetic moment in μB/atom: 0.000
Formation energy from the elements in eV per atom: -2.54



Entry 3:
Material: KTbSnWO6
Method: DFT, GGA+U
State: relaxed

Lattice parameters (Å, degrees): 5.942 5.942 5.942 60.00 60.00 60.00
Atoms (fractional coordinates):
K (0.000, 0.000, 0.000)
Tb (0.250, 0.250, 0.250)
Sn (0.500, 0.500, 0.500)
W (0.750, 0.750, 0.750)
O (0.518, 0.518, 0.982)
O (0.518, 0.982, 0.518)
O (0.518, 0.982, 0.982)
O (0.982, 0.518, 0.518)
O (0.982, 0.518, 0.982)
O (0.982, 0.982, 0.518)

Summary:
Energy above the most stable polymorph in this dataset in meV per atom: 8.1
Uncorrected energy in eV/atom: -6.859
Theoretical density in g/cm³: 6.679
Total magnetic moment in μB/atom: 0.000
Formation energy from the elements in eV per atom: -2.47



Entry 4:
Material: KTbSnWO6
Method: DFT, GGA+U
State: relaxed

Lattice parameters (Å, degrees): 5.950 5.950 8.390 90.00 90.00 90.00
Atoms (fractional coordinates):
K (0.000, 0.000, 0.250)
K (0.000, 0.000, 0.750)
Tb (0.000, 0.500, 0.000)
Tb (0.500, 0.000, 0.500)
Sn (0.500, 0.500, 0.250)
Sn (0.500, 0.500, 0.750)
W (0.000, 0.500, 0.500)
W (0.500, 0.000, 0.000)
O (0.000, 0.500, 0.268)
O (0.000, 0.500, 0.732)
O (0.239, 0.274, 0.500)
O (0.239, 0.726, 0.500)
O (0.274, 0.239, 0.000)
O (0.274, 0.761, 0.000)
O (0.500, 0.000, 0.232)
O (0.500, 0.000, 0.768)
O (0.726, 0.239, 0.000)
O (0.726, 0.761, 0.000)
O (0.761, 0.274, 0.500)
O (0.761, 0.726, 0.500)

Summary:
Energy above the most stable polymorph in this dataset in meV per atom: 0.0
Uncorrected energy in eV/atom: -6.867
Theoretical density in g/cm³: 6.670
Total magnetic moment in μB/atom: 0.000
Formation energy from the elements in eV per atom: -2.48



Entry 5:
Material: KYSnWO6
Method: DFT, GGA+U
State: relaxed

Lattice parameters (Å, degrees): 5.931 5.931 5.931 60.00 60.00 60.00
-- stop --

**Outcome**
V (0.973, 0.250, 0.707)
Sb (0.118, 0.750, 0.687)
Sb (0.382, 0.250, 0.187)
Sb (0.618, 0.750, 0.813)
Sb (0.882, 0.250, 0.313)
O (0.036, 0.503, 0.775)
O (0.036, 0.997, 0.775)
O (0.045, 0.750, 0.493)
O (0.122, 0.750, 0.198)
O (0.135, 0.250, 0.365)
O (0.179, 0.750, 0.892)
O (0.205, 0.510, 0.609)
O (0.205, 0.990, 0.609)
O (0.295, 0.010, 0.109)
O (0.295, 0.490, 0.109)
O (0.321, 0.250, 0.392)
O (0.365, 0.750, 0.865)
O (0.378, 0.250, 0.698)
O (0.455, 0.250, 0.993)
O (0.464, 0.003, 0.275)
O (0.464, 0.497, 0.275)
O (0.536, 0.503, 0.725)
O (0.536, 0.997, 0.725)
O (0.545, 0.750, 0.007)
O (0.622, 0.750, 0.302)
O (0.635, 0.250, 0.135)
O (0.679, 0.750, 0.608)
O (0.705, 0.510, 0.891)
O (0.705, 0.990, 0.891)
O (0.795, 0.010, 0.391)
O (0.795, 0.490, 0.391)
O (0.821, 0.250, 0.108)
O (0.865, 0.750, 0.635)
O (0.878, 0.250, 0.802)
O (0.955, 0.250, 0.507)
O (0.964, 0.003, 0.225)
O (0.964, 0.497, 0.225)

Summary:
Uncorrected energy in eV/atom: -6.748
Theoretical density in g/cm³: 3.568
Total magnetic moment in μB/atom: 0.001
Formation energy from the elements in eV per atom: -2.24



Entry 2:
Material: KSmV4O12
Method: DFT, GGA+U
State: relaxed

Lattice parameters (Å, degrees): 7.230 6.083 6.083 72.65 90.00 90.00
Atoms (fractional coordinates):
K (0.000, 0.000, 0.000)
Sm (0.500, 0.456, 0.456)
V (0.253, 0.492, 0.979)
V (0.253, 0.979, 0.492)
V (0.747, 0.492, 0.979)
V (0.747, 0.979, 0.492)
O (0.000, 0.023, 0.488)
O (0.000, 0.488, 0.023)
O (0.236, 0.787, 0.787)
O (0.267, 0.290, 0.290)
O (0.284, 0.335, 0.797)
O (0.284, 0.797, 0.335)
O (0.500, 0.045, 0.563)
O (0.500, 0.563, 0.045)
O (0.716, 0.335, 0.797)
O (0.716, 0.797, 0.335)
O (0.733, 0.290, 0.290)
O (0.764, 0.787, 0.787)

Summary:
Uncorrected energy in eV/atom: -7.345
Theoretical density in g/cm³: 3.805
Total magnetic moment in μB/atom: 0.000
Formation energy from the elements in eV per atom: -2.54



Entry 3:
Material: KTbSnWO6
Method: DFT, GGA+U
State: relaxed

Lattice parameters (Å, degrees): 5.942 5.942 5.942 60.00 60.00 60.00
Atoms (fractional coordinates):
K (0.000, 0.000, 0.000)
Tb (0.250, 0.250, 0.250)
Sn (0.500, 0.500, 0.500)
W (0.750, 0.750, 0.750)
O (0.518, 0.518, 0.982)
O (0.518, 0.982, 0.518)
O (0.518, 0.982, 0.982)
O (0.982, 0.518, 0.518)
O (0.982, 0.518, 0.982)
O (0.982, 0.982, 0.518)

Summary:
Energy above the most stable polymorph in this dataset in meV per atom: 8.1
Uncorrected energy in eV/atom: -6.859